Most doctors will tell their patients prevention is the best medicine. This clich? is just another way of saying that if a person can avoid disease and illness in the first place, there is no need for medication or treatment. Though prevention of a disease is not always possible, doing what you can to improve your health can help you fight off problems. The stronger your body is the easier it will be to avoid disease and illness.
The trouble is a lot of people do not understand how prevention works. They follow the old health rules that might be outdated or not ideal for them. Prevention takes planning and many people are unwilling to take the time needed to create a preventative health plan. Not only must you determine what information is truly going to help, you must determine what your body needs and what your risks might be.
The most important preventative health tips that apply to everyone are healthy eating and exercise. No matter who you are and what health risks you face, you need to eat healthy and take time to be physically active. In order to gain the most benefits from these measures, you need to find what works best for you. If you follow a plan designed for someone else, you could damage your health or fail to gain the greatest benefits from your actions.
Data records, kept here for reference:
........
#w
A structure of composition C5H8O3, computed with the ωB97M-V functional and the def2-TZVPD basis.

- Orbital gap: 9.316 eV
- E_LUMO: 0.15 eV

Each line ends with the natural charge from an NBO analysis.
Geometry (Å):
C  -1.06  -0.14  -0.23  0.02
C  -0.71  1.39  -0.36  -0.28
C  0.67  1.49  -0.15  -0.19
C  1.36  0.11  0.04  0.09
C  0.09  -0.79  0.07  -0.01
H  -2.63  0.55  1.12  0.42
H  -1.89  -0.69  -1.10  0.20
H  -1.49  2.19  -0.79  0.24
H  1.17  2.56  -0.37  0.23
H  1.67  0.00  -1.07  0.19
H  2.57  -0.23  1.55  0.48
H  -0.12  -0.68  1.28  0.22
H  -0.57  -2.76  -0.90  0.48
O  -1.88  -0.62  0.94  -0.71
O  2.43  -0.32  0.59  -0.67
O  0.41  -2.05  -0.61  -0.71

#x
A cluster of 2 separate species, C5H8O3 in total, computed with the ωB97M-V functional and the def2-TZVPD basis.

- Orbital gap: 10.738 eV
- E_LUMO: 0.78 eV
- SMILES: C=CC=O.COC=O

Each line ends with the natural charge from an NBO analysis.
Geometry (Å):
C  1.71  2.20  -0.49  -0.35
C  1.50  0.94  -0.83  -0.29
C  0.09  0.85  -1.39  0.42
O  -0.94  0.85  -0.76  -0.55
H  2.58  2.66  -0.07  0.21
H  0.68  2.75  -0.63  0.20
H  2.22  0.20  -1.11  0.24
H  0.14  0.40  -2.40  0.12
C  -1.50  -0.98  1.79  -0.26
O  -0.25  -1.30  1.18  -0.50
C  -0.26  -1.82  -0.04  0.66
O  0.72  -1.99  -0.69  -0.59
H  -2.28  -1.68  1.49  0.18
H  -1.79  0.03  1.50  0.21
H  -1.34  -1.03  2.86  0.20
H  -1.28  -2.09  -0.41  0.10

#y
An isolated molecule of C5H8O3, computed with the ωB97M-V functional and the def2-TZVPD basis.

- Orbital gap: 9.706 eV
- E_LUMO: 0.76 eV
- SMILES: O=C1C[C@]1(O)CCO

Each line ends with the natural charge from an NBO analysis.
Geometry (Å):
O  0.24  -2.10  1.41  -0.48
C  -0.14  -1.47  0.48  0.61
C  -0.30  -1.33  -0.97  -0.58
C  -0.98  -0.34  -0.01  0.13
O  -2.36  -0.45  0.17  -0.68
C  -0.39  1.04  0.15  -0.44
C  1.12  1.03  0.60  -0.07
O  1.92  0.62  -0.49  -0.74
H  0.54  -0.98  -1.56  0.26
H  -0.92  -2.06  -1.47  0.25
H  -2.81  -0.02  -0.57  0.47
H  -0.97  1.58  0.90  0.23
H  -0.42  1.58  -0.80  0.21
H  1.37  2.06  0.88  0.16
H  1.29  0.40  1.49  0.18
H  2.82  0.45  -0.19  0.48

Of them, the most stable is #y and the least stable is #w.

#w
A cluster of 2 separate species, C5H8O3 in total, computed with the ωB97M-V functional and the def2-TZVPD basis.

- Orbital gap: 10.784 eV
- E_LUMO: 0.72 eV
- SMILES: C#C[C@H](C)O.O=CO

Each line ends with the natural charge from an NBO analysis.
Geometry (Å):
C  3.25  0.00  -0.11  -0.22
C  2.07  0.11  -0.30  -0.03
C  0.61  0.20  -0.38  0.03
C  0.18  1.65  -0.61  -0.62
O  0.04  -0.38  0.77  -0.74
H  4.26  -0.15  0.14  0.23
H  0.27  -0.41  -1.23  0.20
H  0.54  2.28  0.20  0.22
H  -0.91  1.71  -0.65  0.21
H  0.58  2.02  -1.55  0.22
H  -0.56  0.21  1.41  0.52
O  -2.39  -0.46  1.34  -0.67
C  -1.92  -1.49  0.86  0.69
O  -2.04  -1.84  -0.42  -0.67
H  -1.41  -2.27  1.43  0.14
H  -2.57  -1.18  -0.89  0.49

#x
An isolated molecule of C5H8O3, computed with the ωB97M-V functional and the def2-TZVPD basis.

- Orbital gap: 10.134 eV
- E_LUMO: 0.78 eV
........
If you are otherwise healthy, design a basic health plan that is fun for you. The key is sticking with your plan and not giving up. To do this you need to pick something that fits your budget, your personality, and your current physical fitness level. Over time you can build up endurance, but if you overdo it initially, it can lead to injury.
Those who face current health problems will need to adjust their new workout plan to suit their physical limitations. Just because you are ill or injured does not mean you should abandon exercise. You just need to find something that works for you.
In addition to exercising, eating right is also important. Many of the nutrition tips you have learned your entire life might not be suitable for you, so it is important to speak with your doctor or a nutritionist about your nutrition needs. People have different health risks, so you need to determine what yours are and what you can do to prevent health problems. For instance, if your family has a history of weight-related illness, you need to eat in order to maintain a healthy weight. People who are at risk for mental illness need to choose foods that boost mental health. No matter what your health risks, there are diet choices you can make to reduce your risk for developing an illness.
Keeping stress in check and getting plenty of rest are also important parts of maintaining good health. Letting life drag you down with unmanaged stress and exhaustion is sure to trigger health problems. In many cases, long-term stress has fatal results. Most of the people who suffer from heart disease and other serious health problems are not only dealing with poor eating habits and lack of exercise, they are also victims of long-term stress. Managing stress and caring for your spiritual health helps keep you in tip-top shape.
If it seems as if maintaining good health takes a lot of work, it is because it does. You need to learn about your current health and your health risks. You need to learn what lifestyle changes are most important for you to make. You also need to commit to a life of healthy living. The challenge for most people is that the results are not immediate. You might spend an entire week eating right and exercising, only to find you have not lost any weight or made any changes in your health. The results of healthy living and preventative measures are long-term. You need to build a healthy life over the course of several years to prevent sickness as you get older. The stronger you are throughout your life the healthier you will be as the years pass by.
If you are looking for a surefire way to reduce your risk for illness and disease, learn about preventative health. It is the best way to feel your best, make the most of your life, and maintain good health over the course of a lifetime.